Request >
The reader should retype all of the notes further below unchanged.

Source >
- - -
For Li3InPd4, a DFT-relaxed cell (PBE, Alexandria) gives the calculated PXRD pattern in this record (Cu Kα).

Most intense lines, 10 to 90 degrees two-theta, sorted by position:
| 2θ (°) | I_rel | index |
| --- | --- | --- |
| 21.6 | 22 | 1 1 0 |
| 28.8 | 19 | 0 0 2 |
| 29.0 | 39 | 0 2 0 |
| 32.5 | 15 | 2 0 -2 |
| 41.3 | 100 | 2 0 1 |
| 41.5 | 51 | 2 2 -1 |
| 75.3 | 15 | 2 2 3 |
| 75.6 | 24 | 4 2 0 |

Structural model:
Cell: 6.1474 6.1617 6.9139 Å, 90.00 116.31 90.00°
Positions (direct):
Li: 0.0000 0.0000 0.0000
Li: 0.2465 0.0000 0.4940
Li: 0.2535 0.5000 0.5060
Li: 0.5000 0.5000 0.0000
Li: 0.7465 0.5000 0.4940
Li: 0.7535 0.0000 0.5060
- - -

Done >
For Li3InPd4, a DFT-relaxed cell (PBE, Alexandria) gives the calculated PXRD pattern in this record (Cu Kα).

Most intense lines, 10 to 90 degrees two-theta, sorted by position:
| 2θ (°) | I_rel | index |
| --- | --- | --- |
| 21.6 | 22 | 1 1 0 |
| 28.8 | 19 | 0 0 2 |
| 29.0 | 39 | 0 2 0 |
| 32.5 | 15 | 2 0 -2 |
| 41.3 | 100 | 2 0 1 |
| 41.5 | 51 | 2 2 -1 |
| 75.3 | 15 | 2 2 3 |
| 75.6 | 24 | 4 2 0 |

Structural model:
Cell: 6.1474 6.1617 6.9139 Å, 90.00 116.31 90.00°
Positions (direct):
Li: 0.0000 0.0000 0.0000
Li: 0.2465 0.0000 0.4940
Li: 0.2535 0.5000 0.5060
Li: 0.5000 0.5000 0.0000
Li: 0.7465 0.5000 0.4940
Li: 0.7535 0.0000 0.5060